Sunday, March 23, 2014

Losing Weight, the lazy way.

If you know me, you know that I hate working out. I like to eat, I have a strong romantic relationship with food, and I despise breaking into a sweat for any reason.

I suppose there comes a time in our lives where we have to make a change. That could mean many things, of course. I could take up crocheting because I hate the cost of scarves, ya know? But that is not the case. I have decided that momma needs to lose a couple pounds.

This is for many reasons, I suppose health could be included, but really I want to lose weight for selfish reasons. I'm sick of having to take pictures from the Myspace Angle to make my face look smaller, I'm sick of having to wear a girdle in the summer time because my belly roll is not cooperating with that particular dress, it's just the struggle of everyday living!

So today, as I went out on the town with my boyfriend, I looked around for some healthy things to incorporate in my daily living. Things that wouldn't take away time from my already busy life. I bought a stability ball from target for only 5 dollars! I actually bought 3, so there is no excuse for me not to use them. I have set one in front of my computer desk, the other I plan to sit into my living room, and the third is at my boyfriends house (taking up his man space).

I then went to Ross and bought a 6.99 bottle of colon cleanse and a 6.99 Slim Away belt (which I will do a review on both). Oh, and did I mention that I bought a jump rope for 2.99? Yeah, we shall see if that gets any use.

On a side note, and probably too much information for some of you....My boyfriend is 6'3 and 330 pounds, in contrast to my 5'2 and 200 pounds. We have decided that we are in this together, so we both will be doing the colon cleanse. It is a month supply, so the key here is seeing who will win at the end. I believe that because he is taller and bigger that he will lose more fat, but hey a competition is a competition.

So stay tuned, tomorrow is the first day of the cleanse, and Slim Away update!

Tuesday, March 4, 2014

4 Year Anniversary, what to do?!

My four year anniversary is coming up in less than 5 days to my darling boyfriend, and I have absolutely no idea what to do. I guess you can say that when it comes to whose romantic, I am at the bottom of the totem pole. I think in our entire 4 years of dating, I've given him a gift one time, and that was our first Christmas together.

Let me give you some background.

I met him through a friend of a friend on a social networking site. I commented on a post, and he decided to send me a message. Nothing romantic started off right away, we got to know each other as friends. Sitting at home one night, my computer went ping! There was an IM from him, asking if I wanted to get something to eat. I tried to get out of it, coming up with every excuse that I could think of. Well, apparently I suck at lying because I ended up going with him to some cheap Mexican place across the street from my apartment complex. I'm not even sure if it was a date, but that date is the day that we first met and the day that he became my significant other. March 9, 2010.

So back to present.

I have no idea what to give as a gift. I suck at gift giving. I hate buying gifts. I dislike it with a passion, no matter the occassion. I also am entirely to cheap for my own good. It does not help that I am currently unemployed and too broke to even be considering gift buying.

So, ideas? I'm thinking an aluminum foil hat. It's the thought that counts, right?
Or maybe I should be sentimental and write a love letter, a legit love letter. Maybe Google can assist.

Someone pasted crystal structures at this point =
<<<
Structure and simulated XRD peak list of Ac4GeSb2P (a GGA-PBE-relaxed structure; Cu Kα, 1.54184 Å).
Kinematic intensities with the Lorentz-polarization factor, no thermal factor.

The 10 most intense peaks (5 to 70 degrees two-theta), by intensity:
hkl, two_theta, Rel. int.
1 1 1, 27.07, 100
3 1 -1, 38.65, 52
1 1 -1, 23.49, 17
2 0 0, 23.28, 17
2 2 -2, 48.04, 14
0 2 0, 38.92, 13
2 2 2, 55.81, 13
2 0 2, 38.39, 13
4 2 0, 63.16, 12
0 2 4, 63.03, 11

Cell and atoms:
a = 8.075 Å, b = 4.628 Å, c = 8.102 Å
α = 90.00°, β = 109.14°, γ = 90.00°
Space group P2/m (No. 10)
Unique sites:
Ac (0.240, 0.000, 0.231)
Ac (0.251, 0.500, 0.766)
Ge (0.500, 0.000, 0.000)
Sb (0.000, 0.000, 0.500)
Sb (0.500, 0.500, 0.500)
P (0.000, 0.500, 0.000)

----------

Record 1
The following is a calculated XRD peak list of Na6Bi2B4AsO16. It was derived from a GGA-PBE-relaxed structure, using a wavelength of 1.5418 Å.

The 10 most intense peaks (2θ = 10–90°), by intensity:
Position (°2θ)  intensity
20.24  100.0
34.88  56.9
21.15  53.5
31.96  51.7
10.53  40.7
41.15  40.3
54.63  26.7
48.03  26.5
55.02  21.6
24.47  20.3

Atomic structure:
a = 10.2880 Å, b = 10.2880 Å, c = 10.2880 Å
α = 60.00°, β = 60.00°, γ = 60.00°
Atoms (fractional coordinates):
Na (0.0796, 0.0796, 0.6704)
Na (0.0796, 0.6704, 0.0796)
Na (0.0796, 0.6704, 0.6704)
Na (0.3296, 0.3296, 0.9204)
Na (0.3296, 0.9204, 0.3296)
Na (0.3296, 0.9204, 0.9204)
Na (0.6704, 0.0796, 0.0796)
Na (0.6704, 0.0796, 0.6704)
Na (0.6704, 0.6704, 0.0796)
Na (0.9204, 0.3296, 0.3296)
Na (0.9204, 0.3296, 0.9204)
Na (0.9204, 0.9204, 0.3296)
Bi (0.0000, 0.5000, 0.5000)
Bi (0.5000, 0.0000, 0.5000)
Bi (0.5000, 0.5000, 0.0000)
Bi (0.5000, 0.5000, 0.5000)
B (0.2810, 0.2810, 0.2810)
B (0.2810, 0.2810, 0.6569)
B (0.2810, 0.6569, 0.2810)
B (0.3431, 0.7190, 0.7190)
B (0.6569, 0.2810, 0.2810)
B (0.7190, 0.3431, 0.7190)
B (0.7190, 0.7190, 0.3431)
B (0.7190, 0.7190, 0.7190)
As (0.1250, 0.1250, 0.1250)
As (0.8750, 0.8750, 0.8750)
O (0.0565, 0.0565, 0.0565)
O (0.0565, 0.0565, 0.3305)
O (0.0565, 0.3305, 0.0565)
O (0.1384, 0.2942, 0.4075)
O (0.1384, 0.4075, 0.6598)
O (0.1384, 0.6598, 0.2942)
O (0.2942, 0.1384, 0.6598)
O (0.2942, 0.4075, 0.1384)
O (0.2942, 0.6598, 0.4075)
O (0.3305, 0.0565, 0.0565)
O (0.3402, 0.5925, 0.7058)
O (0.3402, 0.7058, 0.8616)
O (0.3402, 0.8616, 0.5925)
O (0.4075, 0.1384, 0.2942)
O (0.4075, 0.2942, 0.6598)
O (0.4075, 0.6598, 0.1384)
O (0.5925, 0.3402, 0.8616)
O (0.5925, 0.7058, 0.3402)
O (0.5925, 0.8616, 0.7058)
O (0.6598, 0.1384, 0.4075)
O (0.6598, 0.2942, 0.1384)
O (0.6598, 0.4075, 0.2942)
O (0.6695, 0.9435, 0.9435)
O (0.7058, 0.3402, 0.5925)
O (0.7058, 0.5925, 0.8616)
O (0.7058, 0.8616, 0.3402)
O (0.8616, 0.3402, 0.7058)
O (0.8616, 0.5925, 0.3402)
O (0.8616, 0.7058, 0.5925)
O (0.9435, 0.6695, 0.9435)
O (0.9435, 0.9435, 0.6695)
O (0.9435, 0.9435, 0.9435)

***

Record 2
The following is a calculated XRD peak list of B2AsCl2. It was derived from a GGA-PBE-relaxed structure, using a wavelength of 1.5418 Å.
>>>

Monday, March 3, 2014

Introducing Moi.

Names Kendra, how's it going?

Let's get a couple of things out in the open.

  • I don't have 20K followers on Twitter or Instagram. 
  • I am not a Youtube powerhouse with over 60,000 subscribers talking about eyebrows or how my face is beat to death with a foundation brush. 
  • I do not make thousands of dollars (or any money for that matter) by doing product reviews.

I'm not a writer, that is pretty clear. But I am here, writing a blog.
I guess you can say that this blog started as a last resort. A last resort to keep my sanity.

[cue the tiny violin here]

I always saw myself as a creative person. I always saw myself as teaching little kids art history in some small rural elementary school. Children looking up to me with their big and innocent eyes, yearning to learn of some painter in Italy, or some sculpture in France. Well, let us just say that I am not even close to that profession. Kids are evil, or so I've taught myself to believe.

I enjoy the little things in life, the material things in life, and the spiritual things in life. I would like to talk about positive things going on around me and my hopes for the future.

I don't want to bore you with my life story, so I'll try to keep this short. I guess you could say that I am using this blog to let out my frustrations. And boy, do I have many. So, sit back and relax, and read to your hearts content.

We will laugh together, probably cry together, and I hope learn from each other. XOXO